## Wanted
What is needed: find "-2.271 -3.624" and "2.791" in the notes further below, and set down these two lines and those between.
## File
~~~
C65H150N10O10 | ωB97M-V with the def2-TZVPD basis set

## Properties
- M (g mol⁻¹) = 1231.97
- E_HOMO (eV) = -8.26
- frontier orbital gap (eV) = 8.8
- energy above the lowest of the compared OMol25 structures with the same formula, charge and spin (kcal/mol) = 69.6
- structure (SMILES) = CC1(C)CCCC(C)(C)N1O.CC1(C)CCCC(C)(C)N1O.CC1(C)CCCC(C)(C)N1O.CC1(C)CCCC(C)(C)N1O.CC1(C)CCCC(C)(C)N1O.COC[C@H](C)N.COC[C@H](C)N.COC[C@H](C)N.COC[C@H](C)N.COC[C@H](C)N

```
! RIJCOSX wB97M-V def2-TZVPD def2/J DEFGRID3
* xyz 0 1
C -0.195 -6.714 -1.408
C -0.863 -8.008 -1.094
C -0.947 -8.183 0.433
O 0.399 -8.293 0.919
C 0.581 -8.805 2.199
N -2.203 -7.932 -1.586
H -0.088 -6.532 -2.460
H 0.862 -6.674 -1.019
H -0.712 -5.903 -0.867
H -0.237 -8.855 -1.502
H -1.503 -9.068 0.673
H -1.460 -7.284 0.874
H 1.694 -8.950 2.437
H 0.091 -9.775 2.359
H 0.130 -8.151 2.970
H -2.195 -7.530 -2.503
H -2.549 -8.922 -1.649
C 2.015 -5.106 2.634
C 2.667 -4.050 3.445
C 1.843 -3.936 4.693
O 2.045 -2.799 5.552
C 1.840 -1.468 5.003
N 4.107 -4.387 3.691
H 1.079 -4.686 2.420
H 1.993 -6.102 3.051
H 2.527 -5.161 1.658
H 2.641 -3.162 2.850
H 1.990 -4.808 5.244
H 0.806 -3.869 4.364
H 0.758 -1.317 4.745
H 2.400 -1.330 4.074
H 2.176 -0.685 5.687
H 4.617 -3.929 4.431
H 4.229 -5.385 3.677
C -2.053 -4.694 3.368
C -3.493 -4.047 3.284
C -3.992 -4.115 1.824
O -3.035 -3.606 0.929
C -3.220 -3.857 -0.458
N -4.356 -4.690 4.157
H -1.404 -4.172 2.673
H -1.978 -5.749 3.387
H -1.779 -4.383 4.413
H -3.306 -2.979 3.410
H -4.899 -3.553 1.845
H -4.192 -5.153 1.507
H -2.271 -3.624 -0.940
H -3.962 -3.169 -0.942
H -3.507 -4.906 -0.624
H -5.353 -4.393 3.933
H -4.162 -4.573 5.124
C -6.083 1.720 2.184
C -6.363 2.147 0.743
C -6.854 0.952 -0.110
O -7.180 1.295 -1.459
C -6.153 1.306 -2.355
N -7.142 3.368 0.711
H -6.999 1.668 2.791
H -5.448 2.512 2.691
H -5.606 0.730 2.206
H -5.403 2.490 0.377
H -7.753 0.625 0.371
H -6.059 0.194 -0.085
H -5.474 0.442 -2.240
H -5.471 2.196 -2.242
H -6.614 1.279 -3.319
H -7.335 3.660 -0.235
H -8.063 3.285 1.138
C 2.907 5.956 0.345
C 1.685 6.840 0.427
C 0.397 6.087 0.762
O -0.001 5.027 -0.139
C -1.300 5.262 -0.627
N 1.842 7.941 1.401
H 2.956 5.295 -0.534
H 3.013 5.354 1.246
H 3.725 6.598 0.164
H 1.649 7.231 -0.661
H -0.389 6.855 0.878
H 0.405 5.667 1.765
H -1.342 6.272 -1.078
H -2.091 5.264 0.110
H -1.502 4.440 -1.326
H 1.211 8.698 1.231
H 2.802 8.257 1.396
C 0.981 5.091 8.243
C 0.839 5.088 6.668
C 1.373 6.427 6.124
C 1.646 6.482 4.640
C 2.620 5.359 4.258
C 2.116 3.948 4.725
N 1.715 4.010 6.145
O 1.299 2.699 6.544
C 0.993 3.474 3.719
C 3.335 2.991 4.595
C -0.633 4.784 6.400
H 2.065 5.303 8.447
H 0.774 4.142 8.703
H 0.312 5.827 8.639
H 0.709 7.250 6.420
H 2.338 6.717 6.587
H 1.955 7.468 4.364
H 0.707 6.369 4.152
H 3.603 5.585 4.604
H 2.579 5.334 3.153
H 0.308 4.246 3.438
H 1.393 3.161 2.696
H 0.455 2.612 4.096
H 3.002 1.968 4.876
H 3.686 3.079 3.528
H 4.199 3.333 5.228
H -0.897 3.726 6.500
H -1.024 5.108 5.501
H -1.315 5.203 7.180
H 1.998 2.564 7.185
C -1.590 1.617 1.716
C -1.761 0.606 0.566
C -1.303 1.223 -0.709
C 0.187 1.422 -0.800
C 0.847 0.081 -0.728
C 0.358 -0.745 0.508
N -1.106 -0.738 0.617
O -1.605 -1.458 1.817
C 0.848 -2.149 0.244
C 0.996 -0.250 1.819
C -3.288 0.369 0.391
H -0.621 1.984 1.721
H -1.980 1.184 2.608
H -2.144 2.560 1.530
H -1.635 0.644 -1.628
H -1.834 2.181 -0.778
H 0.491 2.032 0.081
H 0.420 1.952 -1.729
H 1.940 0.182 -0.659
H 0.648 -0.528 -1.639
H 0.430 -2.750 -0.558
H 1.923 -2.082 0.124
H 0.759 -2.724 1.163
H 2.106 -0.433 1.751
H 0.878 0.812 2.043
H 0.693 -0.828 2.692
H -3.783 1.263 0.074
H -3.695 0.072 1.351
H -3.446 -0.488 -0.257
H -2.071 -2.209 1.432
C 5.407 -0.452 0.517
C 5.888 -1.772 1.234
C 5.241 -3.058 0.659
C 5.876 -3.453 -0.691
C 7.391 -3.733 -0.464
C 7.992 -2.414 -0.091
N 7.347 -1.921 1.162
O 7.952 -0.684 1.520
C 9.481 -2.635 0.192
C 7.939 -1.383 -1.217
C 5.520 -1.631 2.689
H 6.139 0.374 0.732
H 4.405 -0.236 0.902
H 5.291 -0.458 -0.534
H 5.389 -3.838 1.398
H 4.207 -2.746 0.499
H 5.675 -2.698 -1.421
H 5.468 -4.453 -1.016
H 7.870 -4.052 -1.375
~~~
## Result
H -2.271 -3.624 -0.940
H -3.962 -3.169 -0.942
H -3.507 -4.906 -0.624
H -5.353 -4.393 3.933
H -4.162 -4.573 5.124
C -6.083 1.720 2.184
C -6.363 2.147 0.743
C -6.854 0.952 -0.110
O -7.180 1.295 -1.459
C -6.153 1.306 -2.355
N -7.142 3.368 0.711
H -6.999 1.668 2.791